Because of this, the National Institute of National Institute on Deafness and Other Communication Disorders (NIDCD), part of the National Institutes of Health has launched a campaign to raise awareness about the issue. I think their slogan, “It’s A Noisy Planet: Protect Their Hearing,” is rather catchy.
Today’s post comes from, John O’Connor, read his blog at bloggingwjohno.blogspot.com
**Between two parts of the entry: data records:**
1.
Here is an optimized crystal structure of UAl4Co from OQMD. Energies are from PBE.

Computed properties:
VASP energy = -35.278 eV per formula unit
symmetry = P-62m, No. 189
crystal system = hexagonal

Cell lengths 9.134, 9.134, 4.100 Å; angles 90.00, 90.00, 120.00 degrees
Atoms (fractional coordinates):
Al 0.742 0.000 0.000
Al 0.258 0.258 0.000
Al 0.000 0.742 0.000
Al 0.169 0.000 0.500
Al 0.000 0.169 0.500
Al 0.703 0.183 0.500
Al 0.480 0.297 0.500
Al 0.297 0.480 0.500
Al 0.817 0.520 0.500
Al 0.183 0.703 0.500
Al 0.520 0.817 0.500
Al 0.831 0.831 0.500
Co 0.000 0.000 0.000
Co 0.667 0.333 0.000
Co 0.333 0.667 0.000
U 0.409 0.000 0.000
U 0.000 0.409 0.000
U 0.591 0.591 0.000



2.
Here is an optimized crystal structure of Al2CoW from OQMD. Energies are from PBE.

Computed properties:
VASP energy = -27.209 eV per formula unit
symmetry = F-43m, No. 216
crystal system = cubic

Cell lengths 4.294, 4.294, 4.294 Å; angles 60.00, 60.00, 60.00 degrees
Atoms (fractional coordinates):
Al 0.000 0.000 0.000
Al 0.750 0.750 0.750
Co 0.250 0.250 0.250
W 0.500 0.500 0.500
Help Your Hearing Later by Making Lifestyle Changes Now
When it comes to discussions about making lifestyle changes, some people are gung ho for it and other people cringe in dread. Sometimes, all a person needs is a little bit of information to learn just how much a few minor lifestyle changes can positively benefit them, both now and later.
A person’s hearing in their later years is often dependent on how they have lived previously. While there are many illnesses and natural causes and accidents that can damage a person’s ability to hear, there are also many lifestyle choices people make that play an important role in determining how well they can hear.
Use Electronics Responsibly to Help Protect Your Hearing
Next to the page, the page also holds records of crystals
┌──
[1]
Compound: SiSeCl2
Source: Alexandria via LeMat-Bulk
Functional: GGA-PBE
Structure: relaxed

Geometry as POSCAR:
```
SiSeCl2
1.0
-1.700 -4.537 0.984
-4.689 -1.165 -1.050
-1.003 -3.121 -3.701
Si Se Cl
1 1 2
Cartesian
0.000 0.000 0.000
-3.696 -4.412 -1.884
-1.848 -2.206 -0.942
-5.544 -6.617 -2.825
```

Results
As for the formation energy without anion corrections: 213 kJ/mol of formula units. Its energy above the most stable polymorph in this dataset is 0.859 eV per atom. The magnetic moment comes out at 2.0 μB/cell. Its density is 3.46 g cm⁻³. The crystal system is cubic.

[2]
Compound: Si2SbOs
Source: Alexandria via LeMat-Bulk
Functional: GGA-PBE
Structure: relaxed

Geometry as POSCAR:
```
Si2SbOs
1.0
-3.406 -2.296 0.027
3.792 -2.494 -2.166
1.344 -3.001 2.462
Os Sb Si
1 1 2
Cartesian
2.568 -2.747 0.148
0.193 -2.395 -1.070
0.000 0.000 0.000
-1.031 -2.648 1.244
```

Results
As for the formation energy without anion corrections: 239 kJ/mol of formula units. The magnetic moment comes out at 0.0 μB/cell. Its density is 8.62 g cm⁻³. The crystal system is orthorhombic.

[3]
Compound: KSbSe
Source: Alexandria via LeMat-Bulk
Functional: GGA-PBE
Structure: relaxed

Geometry as POSCAR:
```
KSbSe
1.0
-2.807 0.828 -2.815
-2.579 -5.083 1.078
-2.294 8.823 4.883
K Sb Se
2 2 2
Cartesian
-3.887 2.440 2.478
-4.183 6.198 3.878
-3.490 1.471 -1.132
-5.092 -0.828 -0.211
-6.924 4.103 3.067
-3.952 5.362 0.473
```

Results
As for the formation energy without anion corrections: -166 kJ/mol of formula units. Its energy above the most stable polymorph in this dataset is 0.114 eV per atom. The magnetic moment comes out at 0.0 μB/cell. Its density is 3.95 g cm⁻³. The crystal system is orthorhombic.

[4]
Compound: InCuTe2
Source: Alexandria via LeMat-Bulk
Functional: GGA-PBE
Structure: relaxed

Geometry as POSCAR:
```
InCuTe2
1.0
-4.688 -0.236 2.272
-4.045 -2.050 -2.575
-1.959 -4.606 1.464
Cu In Te
1 1 2
Cartesian
-5.347 -3.446 0.580
-8.020 -5.169 0.871
0.000 0.000 0.000
-2.673 -1.723 0.290
```

Results
As for the formation energy without anion corrections: 137 kJ/mol of formula units. The magnetic moment comes out at 0.0 μB/cell. Its density is 7.18 g cm⁻³. The crystal system is cubic.

[5]
Compound: La2NpPaN4
Source: Alexandria via LeMat-Bulk
Functional: GGA-PBE
Structure: relaxed

Geometry as POSCAR:
```
La2NpPaN4
1.0
-0.074 2.596 2.451
-1.668 -4.126 4.318
6.282 0.380 -0.212
La Np Pa N
2 1 1 4
Cartesian
3.104 1.488 1.120
2.307 -1.873 2.053
-0.871 -0.765 3.385
0.000 0.000 0.000
0.861 0.423 2.180
3.679 -1.573 4.378
4.567 -0.795 0.980
0.047 -2.951 3.127
```

Results
As for the formation energy without anion corrections: -1079 kJ/mol of formula units. The magnetic moment comes out at 3.0 μB/cell. Its density is 10.12 g cm⁻³. The crystal system is monoclinic.

[6]
Compound: ScSn3Cl
Source: Alexandria via LeMat-Bulk
Functional: GGA-PBE
Structure: relaxed

Geometry as POSCAR:
```
ScSn3Cl
1.0
5.282 0.000 0.000
0.000 5.282 0.000
0.000 0.000 5.282
Sc Sn Cl
1 3 1
Cartesian
└──
In modern times, electronics play an important part of millions of lives. Not only do people use cell phones and typically have them either attached to their bodies or resting within arm’s reach, but many people also go through their daily lives with cell phone ear pieces attached to their ears. Having this constant noise at a moderate or high volume be a consistent part of a person’s life can damage a person’s ability to hear. Keeping cell phone volumes turned as low as possible and refusing to wear ear pieces except when it is absolutely necessary is a great action to take to help protect hearing ability.
Listening to music, playing video games, and watching TV are other activities that millions of people participate in on a daily basis. Many times, people are talking during the activities and the volume steadily gets pushed higher to hear the sound over other noises in a home. Becoming aware of volume and making a deliberate effort to keep all volumes at a low or medium sound level can help to protect the hearing of every person in the home. This is also a great action parents can take to help educate their children about the importance of volume on electronics and how it can affect their hearing.
Develop New Patterns for You and Your Family
Teaching children and teenagers about the potential damage loud music and other forms of media can cause to a person’s hearing is a fantastic tool to depart to your children. When children and teens learn at an early age how to be responsible and use electronics wisely, they will begin establishing healthy patterns and making smart choices when it comes to the way they use their electronics. This will provide them with multiple benefits over the course of their lives.
While it may be necessary for a person to wear a hearing aid to help restore partial hearing ability that has been lost, there are also numerous things parents can do to educate their children about electronics and how to protect their ears and their hearing.
To learn more about the campaign, visit the Noisy Planet. The website is a highly-informative and easy-to-read government resource that gives parents tips on how to help control the noise their families are exposed to.